Given.
The following is a calculated powder X-ray diffraction pattern of Li2MnI5. It was derived from a structure optimized by DFT (GGA-PBE), using Cu Kα, 1.54184 Å.
Intensities are scaled so that the largest is 100.

Largest 10 diffraction maxima, by angle, 2θ = 10–80°:
2theta, Rel. int.
15.98, 44
24.98, 100
25.12, 86
25.73, 69
27.23, 24
31.93, 29
38.62, 22
40.20, 23
44.93, 40
54.75, 23

Structure:
```
Li2MnI5
1.0
5.7503 -4.6622 0.0000
5.7503 4.6622 0.0000
-4.1557 0.0000 5.5404
Li Mn I
2 1 5
Direct
0.2066 0.7934 0.0000
0.7934 0.2066 0.0000
0.8022 0.8022 0.2057
0.0783 0.5141 0.1327
0.0835 0.0835 0.3766
0.5102 0.5102 0.8812
0.5141 0.0783 0.1327
0.8286 0.8286 0.6326
```

=====

The following is a calculated powder X-ray diffraction pattern of Li2Mn3I8. It was derived from a structure optimized by DFT (GGA-PBE), using Cu Kα, 1.54184 Å.
Intensities are scaled so that the largest is 100.

Largest 10 diffraction maxima, by angle, 2θ = 10–80°:
2theta, Rel. int.
12.68, 14
25.47, 100
29.49, 100
42.16, 61
42.36, 12
49.87, 27
50.05, 14
52.21, 12
52.42, 12
69.27, 13

Structure:
```
Li2Mn3I8
1.0
4.2910 -8.5358 0.0000
4.2910 8.5358 0.0000
0.0000 0.0000 12.1400
Li Mn I
4 6 16
Direct
0.1293 0.8707 0.8868
0.3707 0.6293 0.3868
0.6293 0.3707 0.6132
0.8707 0.1293 0.1132
0.0000 0.0000 0.5000
0.1194 0.3806 0.7500
0.3806 0.1194 0.2500
0.5000 0.5000 0.0000
0.6194 0.8806 0.7500
0.8806 0.6194 0.2500
0.0043 0.9957 0.2569
0.1134 0.3555 0.5144
0.1445 0.3866 0.9856
0.2426 0.7574 0.2393
0.2574 0.7426 0.7393
0.3555 0.1134 0.4856
0.3866 0.1445 0.0144
0.4957 0.5043 0.7569
0.5043 0.4957 0.2431
0.6134 0.8555 0.9856
0.6445 0.8866 0.5144
0.7426 0.2574 0.2607
0.7574 0.2426 0.7607
0.8555 0.6134 0.0144
0.8866 0.6445 0.4856
0.9957 0.0043 0.7431
```

* * * * *

Record 1
For La2InCuSe5, a DFT-relaxed cell (GGA-PBE, Alexandria) gives the calculated PXRD pattern in this record (Cu Kα).
Lines closer than 0.1° are merged.

Most intense lines, 5 to 70 degrees two-theta, in order of falling intensity:
two_theta  intensity  index
30.5  100  1 1 4
43.7  53  0 2 0
30.9  43  4 0 2
32.4  35  3 1 2
36.5  27  4 1 0
44.1  23  5 1 2
49.2  23  6 0 4
36.6  21  2 1 5
42.0  21  4 1 4
34.2  19  1 1 5

Cell and atoms:
```
data_La2InCuSe5
_chemical_formula_sum 'La8 In4 Cu4 Se20'
_symmetry_space_group_name_H-M 'P n m a'
_symmetry_Int_Tables_number 62
_symmetry_space_group_name_Hall '-P 2ac 2n'
_cell_length_a 12.269
_cell_length_b 4.140
_cell_length_c 17.600
_cell_angle_alpha 90.00
_cell_angle_beta 90.00
_cell_angle_gamma 90.00
loop_
_atom_site_label
_atom_site_fract_x
_atom_site_fract_y
_atom_site_fract_z
_atom_site_occupancy
La1 0.022 0.250 0.178 1
La2 0.137 0.750 0.594 1
In1 0.190 0.750 0.361 1
Cu1 0.075 0.750 0.998 1
Se1 0.016 0.250 0.695 1
Se2 0.101 0.250 0.923 1
Se3 0.107 0.250 0.463 1
Se4 0.182 0.750 0.113 1
Se5 0.241 0.750 0.771 1
```

Record 2
For Dy12Sn6C, a DFT-relaxed cell (GGA-PBE, Alexandria) gives the calculated PXRD pattern in this record (Cu Kα).
Lines closer than 0.1° are merged.

Most intense lines, 5 to 70 degrees two-theta, in order of falling intensity:
two_theta  intensity  index
36.1  100  4 -2 3
32.1  66  4 -3 1
27.4  50  1 0 4
30.1  28  2 2 0
34.9  20  2 1 4
34.1  17  4 -1 2
57.0  16  4 -3 7
39.3  14  0 0 6
26.4  13  1 2 2
15.5  13  0 1 2

Cell and atoms:
```
data_Dy12Sn6C
_chemical_formula_sum 'Dy36 Sn18 C3'
_symmetry_space_group_name_H-M 'R -3'
_symmetry_Int_Tables_number 148
_symmetry_space_group_name_Hall '-R 3'
_cell_length_a 11.8606
_cell_length_b 11.8606
_cell_length_c 13.7444
_cell_angle_alpha 90.00
_cell_angle_beta 90.00
_cell_angle_gamma 120.00
loop_
_atom_site_label
_atom_site_fract_x
_atom_site_fract_y
_atom_site_fract_z
_atom_site_occupancy
Dy1 0.0286 0.8411 0.3878 1
Dy2 0.0306 0.1814 0.8946 1
Sn1 0.0034 0.6189 0.2488 1
C1 0.0000 0.0000 0.0000 1
```

Record 3
For Na5In2Te6, a DFT-relaxed cell (GGA-PBE, Alexandria) gives the calculated PXRD pattern in this record (Cu Kα).
Lines closer than 0.1° are merged.

Job.
It remains to start at the top of the calculation results above and duplicate each line, ending with the one that has "Se4 0.182".

Outcome.
The following is a calculated powder X-ray diffraction pattern of Li2MnI5. It was derived from a structure optimized by DFT (GGA-PBE), using Cu Kα, 1.54184 Å.
Intensities are scaled so that the largest is 100.

Largest 10 diffraction maxima, by angle, 2θ = 10–80°:
2theta, Rel. int.
15.98, 44
24.98, 100
25.12, 86
25.73, 69
27.23, 24
31.93, 29
38.62, 22
40.20, 23
44.93, 40
54.75, 23

Structure:
```
Li2MnI5
1.0
5.7503 -4.6622 0.0000
5.7503 4.6622 0.0000
-4.1557 0.0000 5.5404
Li Mn I
2 1 5
Direct
0.2066 0.7934 0.0000
0.7934 0.2066 0.0000
0.8022 0.8022 0.2057
0.0783 0.5141 0.1327
0.0835 0.0835 0.3766
0.5102 0.5102 0.8812
0.5141 0.0783 0.1327
0.8286 0.8286 0.6326
```

=====

The following is a calculated powder X-ray diffraction pattern of Li2Mn3I8. It was derived from a structure optimized by DFT (GGA-PBE), using Cu Kα, 1.54184 Å.
Intensities are scaled so that the largest is 100.

Largest 10 diffraction maxima, by angle, 2θ = 10–80°:
2theta, Rel. int.
12.68, 14
25.47, 100
29.49, 100
42.16, 61
42.36, 12
49.87, 27
50.05, 14
52.21, 12
52.42, 12
69.27, 13

Structure:
```
Li2Mn3I8
1.0
4.2910 -8.5358 0.0000
4.2910 8.5358 0.0000
0.0000 0.0000 12.1400
Li Mn I
4 6 16
Direct
0.1293 0.8707 0.8868
0.3707 0.6293 0.3868
0.6293 0.3707 0.6132
0.8707 0.1293 0.1132
0.0000 0.0000 0.5000
0.1194 0.3806 0.7500
0.3806 0.1194 0.2500
0.5000 0.5000 0.0000
0.6194 0.8806 0.7500
0.8806 0.6194 0.2500
0.0043 0.9957 0.2569
0.1134 0.3555 0.5144
0.1445 0.3866 0.9856
0.2426 0.7574 0.2393
0.2574 0.7426 0.7393
0.3555 0.1134 0.4856
0.3866 0.1445 0.0144
0.4957 0.5043 0.7569
0.5043 0.4957 0.2431
0.6134 0.8555 0.9856
0.6445 0.8866 0.5144
0.7426 0.2574 0.2607
0.7574 0.2426 0.7607
0.8555 0.6134 0.0144
0.8866 0.6445 0.4856
0.9957 0.0043 0.7431
```

* * * * *

Record 1
For La2InCuSe5, a DFT-relaxed cell (GGA-PBE, Alexandria) gives the calculated PXRD pattern in this record (Cu Kα).
Lines closer than 0.1° are merged.

Most intense lines, 5 to 70 degrees two-theta, in order of falling intensity:
two_theta  intensity  index
30.5  100  1 1 4
43.7  53  0 2 0
30.9  43  4 0 2
32.4  35  3 1 2
36.5  27  4 1 0
44.1  23  5 1 2
49.2  23  6 0 4
36.6  21  2 1 5
42.0  21  4 1 4
34.2  19  1 1 5

Cell and atoms:
```
data_La2InCuSe5
_chemical_formula_sum 'La8 In4 Cu4 Se20'
_symmetry_space_group_name_H-M 'P n m a'
_symmetry_Int_Tables_number 62
_symmetry_space_group_name_Hall '-P 2ac 2n'
_cell_length_a 12.269
_cell_length_b 4.140
_cell_length_c 17.600
_cell_angle_alpha 90.00
_cell_angle_beta 90.00
_cell_angle_gamma 90.00
loop_
_atom_site_label
_atom_site_fract_x
_atom_site_fract_y
_atom_site_fract_z
_atom_site_occupancy
La1 0.022 0.250 0.178 1
La2 0.137 0.750 0.594 1
In1 0.190 0.750 0.361 1
Cu1 0.075 0.750 0.998 1
Se1 0.016 0.250 0.695 1
Se2 0.101 0.250 0.923 1
Se3 0.107 0.250 0.463 1
Se4 0.182 0.750 0.113 1